Activity:
Echo all of the rows below unchanged.

Input:
********
(1)
{
  "formula": "CoSbP2O8",
  "functional": "PBE+U",
  "state": "optimized geometry",
  "relative_energy_kcal_per_mol_atoms": 0.86,
  "spacegroup": "P1",
  "formation_enthalpy_0k_kj_per_mol_atoms": -212,
  "total_energy_ev_per_fu": -80.911,
  "vol_a3_per_atom": 13.0,
  "cell": [[0.129, 0.001, 4.958], [20.267, 0.006, 0.533], [0.002, 6.233, 0.001]],
  "species": ["Co", "Co", "Co", "Co", "Sb", "Sb", "Sb", "Sb", "P", "P", "P", "P", "P", "P", "P", "P", "O", "O", "O", "O", "O", "O", "O", "O", "O", "O", "O", "O", "O", "O", "O", "O", "O", "O", "O", "O", "O", "O", "O", "O", "O", "O", "O", "O", "O", "O", "O", "O"],
  "frac_coords": [[0.441, 0.614, 0.750], [0.560, 0.387, 0.250], [0.432, 0.111, 0.750], [0.571, 0.889, 0.246], [0.944, 0.141, 0.250], [0.953, 0.642, 0.250], [0.047, 0.358, 0.750], [0.058, 0.859, 0.749], [0.398, 0.047, 0.250], [0.407, 0.548, 0.250], [0.593, 0.452, 0.750], [0.605, 0.953, 0.750], [0.878, 0.202, 0.750], [0.885, 0.703, 0.750], [0.114, 0.297, 0.250], [0.119, 0.798, 0.251], [0.645, 0.026, 0.752], [0.634, 0.525, 0.750], [0.365, 0.475, 0.250], [0.353, 0.974, 0.249], [0.704, 0.058, 0.250], [0.713, 0.560, 0.250], [0.287, 0.440, 0.750], [0.300, 0.940, 0.750], [0.182, 0.192, 0.750], [0.189, 0.693, 0.750], [0.810, 0.307, 0.250], [0.814, 0.807, 0.253], [0.204, 0.223, 0.250], [0.208, 0.723, 0.248], [0.792, 0.277, 0.750], [0.797, 0.778, 0.751], [0.246, 0.085, 0.057], [0.254, 0.586, 0.058], [0.246, 0.085, 0.443], [0.254, 0.586, 0.442], [0.747, 0.414, 0.558], [0.759, 0.915, 0.558], [0.746, 0.414, 0.942], [0.758, 0.915, 0.942], [0.738, 0.167, 0.945], [0.747, 0.668, 0.945], [0.738, 0.167, 0.555], [0.746, 0.668, 0.555], [0.252, 0.333, 0.055], [0.255, 0.834, 0.056], [0.252, 0.333, 0.445], [0.260, 0.832, 0.445]]
}

(2)
{
  "formula": "Mo2C8Br8N2O3",
  "functional": "PBE+U",
  "state": "optimized geometry",
  "spacegroup": "P2_12_12_1",
  "formation_enthalpy_0k_kj_per_mol_atoms": 90,
  "total_energy_ev_per_fu": -112.383,
  "vol_a3_per_atom": 36.3,
  "cell": [[-9.301, 2.476, -5.733], [5.751, -0.995, -9.760], [-6.153, -25.489, -1.026]],
  "species": ["Mo", "Mo", "Mo", "Mo", "Mo", "Mo", "Mo", "Mo", "C", "C", "C", "C", "C", "C", "C", "C", "C", "C", "C", "C", "C", "C", "C", "C", "C", "C", "C", "C", "C", "C", "C", "C", "C", "C", "C", "C", "C", "C", "C", "C", "Br", "Br", "Br", "Br", "Br", "Br", "Br", "Br", "Br", "Br", "Br", "Br", "Br", "Br", "Br", "Br", "Br", "Br", "Br", "Br", "Br", "Br", "Br", "Br", "Br", "Br", "Br", "Br", "Br", "Br", "Br", "Br", "N", "N", "N", "N", "N", "N", "N", "N", "O", "O", "O", "O", "O", "O", "O", "O", "O", "O", "O", "O"],
********

Outcome:
(1)
{
  "formula": "CoSbP2O8",
  "functional": "PBE+U",
  "state": "optimized geometry",
  "relative_energy_kcal_per_mol_atoms": 0.86,
  "spacegroup": "P1",
  "formation_enthalpy_0k_kj_per_mol_atoms": -212,
  "total_energy_ev_per_fu": -80.911,
  "vol_a3_per_atom": 13.0,
  "cell": [[0.129, 0.001, 4.958], [20.267, 0.006, 0.533], [0.002, 6.233, 0.001]],
  "species": ["Co", "Co", "Co", "Co", "Sb", "Sb", "Sb", "Sb", "P", "P", "P", "P", "P", "P", "P", "P", "O", "O", "O", "O", "O", "O", "O", "O", "O", "O", "O", "O", "O", "O", "O", "O", "O", "O", "O", "O", "O", "O", "O", "O", "O", "O", "O", "O", "O", "O", "O", "O"],
  "frac_coords": [[0.441, 0.614, 0.750], [0.560, 0.387, 0.250], [0.432, 0.111, 0.750], [0.571, 0.889, 0.246], [0.944, 0.141, 0.250], [0.953, 0.642, 0.250], [0.047, 0.358, 0.750], [0.058, 0.859, 0.749], [0.398, 0.047, 0.250], [0.407, 0.548, 0.250], [0.593, 0.452, 0.750], [0.605, 0.953, 0.750], [0.878, 0.202, 0.750], [0.885, 0.703, 0.750], [0.114, 0.297, 0.250], [0.119, 0.798, 0.251], [0.645, 0.026, 0.752], [0.634, 0.525, 0.750], [0.365, 0.475, 0.250], [0.353, 0.974, 0.249], [0.704, 0.058, 0.250], [0.713, 0.560, 0.250], [0.287, 0.440, 0.750], [0.300, 0.940, 0.750], [0.182, 0.192, 0.750], [0.189, 0.693, 0.750], [0.810, 0.307, 0.250], [0.814, 0.807, 0.253], [0.204, 0.223, 0.250], [0.208, 0.723, 0.248], [0.792, 0.277, 0.750], [0.797, 0.778, 0.751], [0.246, 0.085, 0.057], [0.254, 0.586, 0.058], [0.246, 0.085, 0.443], [0.254, 0.586, 0.442], [0.747, 0.414, 0.558], [0.759, 0.915, 0.558], [0.746, 0.414, 0.942], [0.758, 0.915, 0.942], [0.738, 0.167, 0.945], [0.747, 0.668, 0.945], [0.738, 0.167, 0.555], [0.746, 0.668, 0.555], [0.252, 0.333, 0.055], [0.255, 0.834, 0.056], [0.252, 0.333, 0.445], [0.260, 0.832, 0.445]]
}

(2)
{
  "formula": "Mo2C8Br8N2O3",
  "functional": "PBE+U",
  "state": "optimized geometry",
  "spacegroup": "P2_12_12_1",
  "formation_enthalpy_0k_kj_per_mol_atoms": 90,
  "total_energy_ev_per_fu": -112.383,
  "vol_a3_per_atom": 36.3,
  "cell": [[-9.301, 2.476, -5.733], [5.751, -0.995, -9.760], [-6.153, -25.489, -1.026]],
  "species": ["Mo", "Mo", "Mo", "Mo", "Mo", "Mo", "Mo", "Mo", "C", "C", "C", "C", "C", "C", "C", "C", "C", "C", "C", "C", "C", "C", "C", "C", "C", "C", "C", "C", "C", "C", "C", "C", "C", "C", "C", "C", "C", "C", "C", "C", "Br", "Br", "Br", "Br", "Br", "Br", "Br", "Br", "Br", "Br", "Br", "Br", "Br", "Br", "Br", "Br", "Br", "Br", "Br", "Br", "Br", "Br", "Br", "Br", "Br", "Br", "Br", "Br", "Br", "Br", "Br", "Br", "N", "N", "N", "N", "N", "N", "N", "N", "O", "O", "O", "O", "O", "O", "O", "O", "O", "O", "O", "O"],